Ballot Box

What Does W. Stand For?

Every day this week, the Washington Post has featured on its front page a new installment of a vast profile of George W. Bush. The length of a short book, the series has explored every nook and cranny of the presumptive Republican nominee’s biography. We hear at length about Bush’s childhood reaction to his little sister’s death from leukemia, his pole vault over the waiting list for the Texas Air National Guard in 1970, and his conversion from Wild Turkey to Cold Turkey in 1986. But as of today (part six of seven), we have learned approximately nothing about what W. thinks about politics.

This isn’t just the fault of policy-averse, personality-driven journalism (though it is partly that). Visit George Bush’s Web site, read his speeches and statements, and you will remain unenlightened as to his views. Bush offers conventional conservative’s bromides about the economy and the family and spends a lot of time talking about his signature idea: faith-based social programs. But if he has a political philosophy that goes beyond pro-business pragmatism and personal concern for society’s unfortunates, he’s hiding it awfully well.

Here the page breaks off for calculated crystals.
~~~
Entry 1:
A plane-wave DFT calculation with PBE was carried out for a relaxed structure of Nb4Zn2C.

Unit cell a=8.4501 b=8.4501 c=8.4501 alpha=60.00 beta=60.00 gamma=60.00
Element x y z (fractional)
Nb  0.0000  0.0000  0.0000
Nb  0.0000  0.0000  0.5000
Nb  0.0000  0.5000  0.0000
Nb  0.1852  0.1852  0.5648
Nb  0.1852  0.5648  0.1852
Nb  0.1852  0.5648  0.5648
Nb  0.4352  0.4352  0.8148
Nb  0.4352  0.8148  0.4352
Nb  0.4352  0.8148  0.8148
Nb  0.5000  0.0000  0.0000
Nb  0.5648  0.1852  0.1852
Nb  0.5648  0.1852  0.5648
Nb  0.5648  0.5648  0.1852
Nb  0.8148  0.4352  0.4352
Nb  0.8148  0.4352  0.8148
Nb  0.8148  0.8148  0.4352
Zn  0.1429  0.7857  0.7857
Zn  0.2143  0.2143  0.2143
Zn  0.2143  0.2143  0.8571
Zn  0.2143  0.8571  0.2143
Zn  0.7857  0.1429  0.7857
Zn  0.7857  0.7857  0.1429
Zn  0.7857  0.7857  0.7857
Zn  0.8571  0.2143  0.2143
C  0.0000  0.5000  0.5000
C  0.5000  0.0000  0.5000
C  0.5000  0.5000  0.0000
C  0.5000  0.5000  0.5000

ΔH_f (0 K): -1.38 eV/f.u.
crystal system: cubic
magnetic moment: 0.12 μB per formula unit

---

Entry 2:
A plane-wave DFT calculation with PBE was carried out for a relaxed structure of TbB2Ir2.

Unit cell a=8.3012 b=8.2975 c=6.4757 alpha=67.07 beta=67.01 gamma=45.93
Element x y z (fractional)
Tb  0.0000  0.0000  0.0000
Tb  0.0000  0.0000  0.5000
Tb  0.0000  0.5000  0.0000
Tb  0.5000  0.0000  0.0000
B  0.2632  0.2659  0.6293
B  0.2659  0.2632  0.3416
B  0.3416  0.6293  0.2659
B  0.3707  0.6584  0.7368
B  0.6293  0.3416  0.2632
B  0.6584  0.3707  0.7341
B  0.7341  0.7368  0.6584
B  0.7368  0.7341  0.3707
Ir  0.0563  0.6346  0.4053
Ir  0.3654  0.9437  0.5962
Ir  0.4038  0.4053  0.6346
Ir  0.4053  0.4038  0.0563
Ir  0.5947  0.5962  0.9437
Ir  0.5962  0.5947  0.3654
Ir  0.6346  0.0563  0.4038
Ir  0.9437  0.3654  0.5947

ΔH_f (0 K): -2.04 eV/f.u.
crystal system: orthorhombic
magnetic moment: 0.00 μB per formula unit

---

Entry 3:
A plane-wave DFT calculation with PBE was carried out for a relaxed structure of Na2Cu3O4.

Unit cell a=7.1299 b=7.1299 c=7.1299 alpha=156.03 beta=135.72 gamma=50.97
Element x y z (fractional)
Na  0.2025  0.2025  0.0000
Na  0.7975  0.7975  0.0000
Cu  0.0000  0.5000  0.5000
Cu  0.3966  0.8966  0.5000
Cu  0.6034  0.1034  0.5000
O  0.1490  0.3879  0.7612
O  0.3733  0.6121  0.7612
O  0.6267  0.3879  0.2388
O  0.8510  0.6121  0.2388

ΔH_f (0 K): -10.37 eV/f.u.
total energy after the MP2020 corrections: -5.01 eV/atom
crystal system: orthorhombic
magnetic moment: 0.90 μB per formula unit

---

Entry 4:
A plane-wave DFT calculation with PBE was carried out for a relaxed structure of Cr8Co3NiS16.

Unit cell a=6.8989 b=6.8989 c=9.7443 alpha=90.00 beta=90.00 gamma=90.00
Element x y z (fractional)
Cr  0.0000  0.2487  0.3746
Cr  0.0000  0.7513  0.3746
Cr  0.2487  0.0000  0.6254
Cr  0.2489  0.5000  0.1246
Cr  0.5000  0.2489  0.8754
Cr  0.5000  0.7511  0.8754
Cr  0.7513  0.0000  0.6254
Cr  0.7511  0.5000  0.1246
Co  0.0000  0.5000  0.7497
Co  0.5000  0.0000  0.2503
Co  0.5000  0.5000  0.5000
~~~

The problem here isn’t simply the lack of specifics–what Bush disparages as “10-point plans.” Members of his brain trust are working on position papers at this very moment, and they’ll soon provide the absent details. What’s odd–and a bit worrying–is that George W. Bush has embarked on a presidential campaign lacking something even more basic: the sort of world-view or approach that equips politicians to formulate an agenda in the first place.

## Records of crystals, as found in the file
........
This record from the Materials Project describes crystalline Cs3GeAsSe5 at its relaxed geometry. The functional is PBE.

* MP2020-corrected energy: -3.975 eV per atom
* energy of formation: -1.031 eV per atom
* SG: No. 14
* size of the total moment: 0.000 μB/atom
* uncorrected energy: -3.7395 eV/atom

a = 7.936 Å, b = 9.846 Å, c = 20.257 Å
α = 90.00°, β = 102.91°, γ = 90.00°
Fractional positions:
1 Cs 0.086 0.199 0.458
2 Cs 0.086 0.301 0.958
3 Cs 0.158 0.060 0.239
4 Cs 0.158 0.440 0.739
5 Cs 0.383 0.711 0.414
6 Cs 0.383 0.789 0.914
7 Cs 0.617 0.211 0.086
8 Cs 0.617 0.289 0.586
9 Cs 0.842 0.560 0.261
10 Cs 0.842 0.940 0.761
11 Cs 0.914 0.699 0.042
12 Cs 0.914 0.801 0.542
13 Ge 0.425 0.709 0.629
14 Ge 0.425 0.791 0.129
15 Ge 0.575 0.209 0.871
16 Ge 0.575 0.291 0.371
17 As 0.329 0.042 0.700
18 As 0.329 0.458 0.200
19 As 0.671 0.542 0.800
20 As 0.671 0.958 0.300
21 Se 0.061 0.116 0.637
22 Se 0.061 0.384 0.137
23 Se 0.250 0.540 0.569
24 Se 0.250 0.960 0.069
25 Se 0.289 0.114 0.816
26 Se 0.289 0.386 0.316
27 Se 0.297 0.706 0.222
28 Se 0.297 0.794 0.722
29 Se 0.482 0.596 0.072
30 Se 0.482 0.904 0.572
31 Se 0.518 0.096 0.428
32 Se 0.518 0.404 0.928
33 Se 0.703 0.206 0.278
34 Se 0.703 0.294 0.778
35 Se 0.711 0.614 0.684
36 Se 0.711 0.886 0.184
37 Se 0.750 0.040 0.931
38 Se 0.750 0.460 0.431
39 Se 0.939 0.616 0.863
40 Se 0.939 0.884 0.363
........

On the great issues of his era, Bush isn’t a pragmatist. He’s a cipher. In an interview excerpt, the Post reporters ask him whether it is true, as they heard from others, that during the Vietnam War, Bush argued on both sides of the issue. Here’s W.’s response: “I don’t remember debates. I don’t think we spent a lot of time debating it. Maybe we did, but I don’t remember.” This does not appear to be a convenient failure to recall opinions that have since become unpopular or embarrassing. It’s the absence of any opinion at all. It’s hard to believe, but the front-runner in the 2000 presidential race is a guy who can’t remember what he thought–or if in fact he thought at all–about the conflict that defined his generation.

In an article in The Weekly Standard a few months ago, Fred Barnes offered a theory about how Bush has neutralized the religious right. Though he eschews most of the issues and themes dear to social conservatives, such as actually trying to ban abortion, Bush wears his Christian beliefs on his sleeve. You might say that he does something similar with secularized voters as well, substituting his personal sense of compassion for the kind of policies that could do something to help the poor. In a big speech in Indianapolis a week ago, Bush singled out a charity called Mission Arlington Texas, where people line up at three or four in the morning for free dentistry. That Bush cares about the people waiting outside the clinic makes you think he’s a decent human being. But people who can’t afford to get their teeth fixed don’t need religious charity. They need dental insurance.

To say that Bush is untainted by ideology does not mean he lacks political instincts. As Bill Clinton did in 1992, he seems to have a fine grasp on why so many voters are turned off by his party. Bush seems prepared to spill some voters off the right side of the GOP yacht in order to get it upright again. In April, it was reported that he had registered Internet domain names for only four potential GOP tickets: Bush-Whitman, Bush-Pataki, Bush-Engler, and Bush-Ridge. All four are centrist northern governors. This was a powerful hint that W. intends to tell Pat Robertson to go play in traffic. I predict that Bush will soon find a moment to blast some marginal figure on the right’s ideological fringe, the way that Clinton dissed Sister Souljah in 1992.

When your task is unifying a divided party, knowing what views to reject, as Bush seems to, may be more important than knowing what policies you support. Those Republican candidates with strong and consistent ideological views–Pat Buchanan, Alan Keyes, Gary Bauer–can appeal only to small factions within the GOP. Others who are eager to serve as vehicles for compromise look unprincipled because of their past records and comments. Steve Forbes, for instance, has undergone a campaign conversion from supply-sider to pious family-values conservative. The result is that no one quite trusts him.

Not having a record on national issues makes it easier to position oneself according to the current political wisdom. That’s one of the reasons governors generally make better presidential candidates than senators–they don’t have congressional voting records to constrict their evolution. Better still is a governor who lacks even private opinions. He’s a political consultant’s perfect Barbie doll. You can dress him in this year’s fashions. And no one will remember him wearing anything different.